Excerpt =
=====
DFT (ωB97M-V with the def2-TZVPD basis set) results for a molecular structure, C3H5CrLi2O4 at a distorted geometry.

Geometry as XYZ:
```
15
Properties=species:S:1:pos:R:3:lowdin_charge:R:1
H 1.13 -1.42 -0.92 0.179
Li -0.03 2.07 -1.27 0.736
O 2.60 -0.62 0.29 0.017
O 0.42 -0.57 0.83 -0.168
C -0.92 -1.05 0.53 -0.119
C -1.63 -0.04 -0.37 -0.312
O -1.36 1.27 0.00 -0.418
C 1.44 -0.75 -0.09 -0.280
H -0.85 -2.05 0.08 0.144
H -1.41 -1.13 1.51 0.145
H -2.71 -0.28 -0.34 0.138
H -1.31 -0.23 -1.42 0.123
O 1.38 1.83 -0.14 -0.875
Cr 0.13 1.48 1.19 0.910
Li 3.12 1.51 0.11 0.779
```

Summary:
**Charge**: +1
**LUMO energy (spin up / spin down)**: -3.66 / -3.72 eV
**Spin multiplicity**: 5
**⟨S²⟩**: 6.02
**Orbital gap (spin up / spin down)**: 7.91 / 9.70 eV

---

DFT (ωB97M-V with the def2-TZVPD basis set) results for a molecular structure, CH4O3PS at a distorted geometry.

Geometry as XYZ:
```
10
Properties=species:S:1:pos:R:3:lowdin_charge:R:1
C 0.46 0.29 1.02 -0.590
O -1.57 -0.31 -2.18 -0.402
O 0.77 0.42 -2.25 -0.449
O 0.18 -2.00 -1.68 -0.395
P -0.51 -0.20 2.41 0.590
S -0.21 -0.60 -1.72 0.454
H -0.04 -0.01 -0.27 -0.023
H 1.45 -0.07 1.05 -0.027
H 0.57 1.45 0.84 0.063
H -1.11 1.04 2.78 -0.222
```

Summary:
**Charge**: -1
**LUMO energy (spin up / spin down)**: 2.68 / 2.84 eV
**Orbital gap (spin up / spin down)**: 6.56 / 7.02 eV

---

DFT (ωB97M-V with the def2-TZVPD basis set) results for CH5NO2S in the gas phase at a distorted geometry.

Geometry as XYZ:
```
10
Properties=species:S:1:pos:R:3:lowdin_charge:R:1
C 0.17 -0.70 -0.73 -0.408
N 0.56 0.63 -1.06 -0.033
O 0.31 0.02 1.84 -0.401
O -1.91 0.16 0.59 -0.507
S -0.87 -0.80 0.88 0.915
H 0.95 -1.37 -0.67 0.054
H -0.58 -1.06 -1.46 0.089
H 1.39 0.77 -0.53 0.050
H 0.24 1.08 1.79 0.125
H -0.26 1.27 -0.66 0.116
```

Summary:
**LUMO energy**: 0.46 eV
**Orbital gap**: 9.70 eV

---

Number 1: total energy -1477.645402 Eh. Number 2: total energy -1005.716299 Eh. Number 3: total energy -644.470489 Eh.

=====

1.
The following is a quantum chemistry calculation of the molecule C4H7FN2O3, from the Open Molecules 2025 dataset.

Properties
structure (SMILES)	NC(=O)NC[C@H](F)C(=O)O
total energy	-16100.00267	eV
highest occupied orbital energy	-9.99	eV
frontier orbital gap	0.3751	Ha

```
17
Properties=species:S:1:pos:R:3:mulliken_charge:R:1
F -2.517 -0.160 0.140 -0.2898
O 1.387 -0.429 -3.061 -0.6083
O -2.432 0.322 2.613 -0.4740
O -0.094 -0.239 2.681 -0.5200
N -0.078 0.368 -1.581 -0.1440
N 2.181 -0.384 -0.951 -0.5368
C -1.171 -0.186 0.429 0.3863
C -0.328 0.888 -0.276 -0.9069
C 1.225 -0.134 -1.918 0.3783
C -1.393 0.076 2.036 0.4332
H 0.693 1.002 0.150 0.5033
H -1.020 1.783 -0.302 0.3246
H 1.891 -0.820 0.034 0.2605
H 2.909 -1.035 -1.336 0.3113
H -0.652 -1.270 0.130 0.2408
H -0.231 0.695 -2.567 0.2756
H -0.369 -0.477 3.777 0.3659
```

=====

2.
The following is a quantum chemistry calculation of the molecule C6H8F6O, from the Open Molecules 2025 dataset.

Properties
structure (SMILES)	C[C@@H](CO)C(F)(F)[C@H](F)C(F)(F)F
total energy	-24704.30678	eV
highest occupied orbital energy	-10.77	eV
frontier orbital gap	0.4203	Ha

```
21
Properties=species:S:1:pos:R:3:mulliken_charge:R:1
F -0.218 -0.011 2.228 -0.3319
F -1.911 -1.235 0.620 -0.3233
F -1.372 0.437 -2.003 -0.2312
F -2.525 1.914 -0.850 -0.2409
F -0.364 1.884 1.152 -0.2996
F -3.394 -0.039 -1.340 -0.2656
O 1.962 -1.562 -1.225 -0.5569
C -2.241 0.604 -0.971 0.6959
C 0.812 -1.327 -0.415 -0.7725
C 0.817 0.121 0.097 0.3759
C 2.176 0.427 0.789 -1.6202
C -1.795 0.121 0.430 -0.2137
C -0.391 0.528 0.975 0.9180
H 0.846 0.725 -0.827 0.2882
H -2.497 0.577 1.130 0.3942
H -0.058 -1.547 -1.031 0.2861
H 0.827 -1.958 0.442 0.4300
H 2.228 1.481 1.097 0.3966
H 1.854 -1.157 -2.106 0.3415
H 2.254 -0.157 1.731 0.3541
H 2.991 0.177 0.075 0.3751
```

=====

3.
The following is a quantum chemistry calculation of a cluster of 5 separate species, C28H32N5O15P2S in total, from the Open Molecules 2025 dataset.

Properties
total charge	+1
total energy	-97113.57099	eV
=====

To do =
Count the lines further up that contain the word "Molecules" and give the number alone.

Outcome =
3